
Phuc Nguyen
Growth and Human Development
November 08, 2013
For my project, my group and I will be researching the topic of childbirth or
neonate. Our interviewee is a mid-forty year-old woman those have three children. Julia
Roberts is one of our teammate’s aunt and she seems like a perfect fit for our nursing
project. Allison shared some family background to us about her aunt Julia that Julia has
three children and she is currently a single mom. All three of her children suffer from
some kind of disabilities when they are born. Julia went through childbirth like any other
women so her knowledge about this topic is abundant. Childbirth is a process almost
every woman around the world has to go through. Some have a natural birth, others
might need C-section. The pain, the happiness that comes with it will change their life
forever as a transition from being an individual to a mother. As a group we wanted to ask
questions in a way that would get the interviewee to express herself fully. We want to
make her feel comfortable with the questions and so that is why we let her look at the
questions before hand. We want her to share her childbirths experiences to the class and
so we ask very specify questions. Such as the questions that I will ask will reveal to us
how her life change after having the baby, and how it affect her marriage. Julia’s
situation is unique because not many mothers went through what she had done. Three
kids with some disability are not easy for her but she bears it all. A theorist that comes to
mind is Erikson’s Psychosocial Stages generativity vs. stagnation. How can Julia
contribute to the world? By being a parent, taking care of her children is considered as
generativity under Erikson’s stage rather than stagnation. This is his seven stage of social
development as one decision to contribute to the society or not. I contributed to this
project by coming up with some questions to ask during the interview.
1. How did having a baby affect your marriage?
Rationale/Analysis: According to the article online having a child intensifies everything
in a relationship. The baby can brings spouses closer together or drives them apart really
depend on their pre-baby relationship.
Reference: Rauh, Sherry. (2005). Will Baby Strengthen or Strain Your Marriage?
WebMD. Retrieved from
2. You mentioned that your first child was Autistic, what were the challenges in raising
two more children while taking care of a child with a disability?
Rationale/analysis: According to this article, for family raising children with disability
experienced significantly greater hardship than did other normal families in society.
Especially for single mother raising children with disability will probably experiencing
## Materials data from another source follow
/*
#A
First-principles (GGA-PBE) data for a relaxed structure of AcDyAg, as listed in the Open Quantum Materials Database.

Calculated values
theoretical density	8.239	g cm⁻³
total moment	0.00	μB/cell

Lattice parameters (Å, degrees): 5.2143 5.2143 5.2143 60.00 60.00 60.00
Element x y z (fractional)
Ag (0.2500, 0.2500, 0.2500)
Ac (0.0000, 0.0000, 0.0000)
Dy (0.7500, 0.7500, 0.7500)



#B
First-principles (GGA-PBE) data for a relaxed structure of AcDyAg, as listed in the Open Quantum Materials Database.

Calculated values
theoretical density	8.573	g cm⁻³
total moment	0.01	μB/cell

Lattice parameters (Å, degrees): 5.1457 5.1457 5.1457 60.00 60.00 60.00
Element x y z (fractional)
Dy (0.0000, 0.0000, 0.0000)
Ag (0.7500, 0.7500, 0.7500)
Ac (0.2500, 0.2500, 0.2500)



List of relative energies, unit meV/atom: #A 167; #B 0



#A
First-principles (GGA-PBE) data for a relaxed structure of AcErAg, as listed in the Open Quantum Materials Database.

Calculated values
theoretical density	8.194	g cm⁻³
total moment	0.02	μB/cell

Lattice parameters (Å, degrees): 5.2403 5.2403 5.2403 60.00 60.00 60.00
Element x y z (fractional)
Ag (0.2500, 0.2500, 0.2500)
Er (0.0000, 0.0000, 0.0000)
Ac (0.5000, 0.5000, 0.5000)



#B
First-principles (GGA-PBE) data for a relaxed structure of AcErAg, as listed in the Open Quantum Materials Database.

Calculated values
theoretical density	8.281	g cm⁻³
total moment	0.00	μB/cell

Lattice parameters (Å, degrees): 5.2219 5.2219 5.2219 60.00 60.00 60.00
Element x y z (fractional)
Ac (0.0000, 0.0000, 0.0000)
Ag (0.2500, 0.2500, 0.2500)
Er (0.7500, 0.7500, 0.7500)



List of relative energies, unit meV/atom: #A 0; #B 597



#A
First-principles (GGA-PBE) data for a relaxed structure of AcAgGe, as listed in the Open Quantum Materials Database.

Calculated values
theoretical density	7.857	g cm⁻³
total moment	0.00	μB/cell

Lattice parameters (Å, degrees): 4.9569 4.9569 4.9569 60.00 60.00 60.00
Element x y z (fractional)
Ac (0.2500, 0.2500, 0.2500)
Ag (0.0000, 0.0000, 0.0000)
Ge (0.7500, 0.7500, 0.7500)



#B
First-principles (GGA-PBE) data for a relaxed structure of AcAgGe, as listed in the Open Quantum Materials Database.

Calculated values
theoretical density	8.406	g cm⁻³
total moment	0.01	μB/cell

Lattice parameters (Å, degrees): 4.5900 4.5900 4.4120 90.00 90.00 120.00
Element x y z (fractional)
Ac (0.0000, 0.0000, 0.3326)
Ge (0.6667, 0.3333, 0.8358)
Ag (0.3333, 0.6667, 0.8316)



List of relative energies, unit meV/atom: #A 186; #B 0



#A
First-principles (GGA-PBE) data for a relaxed structure of AcHfAg, as listed in the Open Quantum Materials Database.

Calculated values
theoretical density	9.209	g cm⁻³
total moment	1.12	μB/cell

Lattice parameters (Å, degrees): 5.0775 5.0775 5.0775 60.00 60.00 60.00
Each line ends with the local moment (μB).
Element x y z (fractional)
Ag (0.2500, 0.2500, 0.2500)  0.04
Hf (0.0000, 0.0000, 0.0000)  0.51
Ac (0.5000, 0.5000, 0.5000)  0.12



#B
*/
severe hardship.
Reference: PARISH S. Material Hardship in US. Families Raising Children with
Disabilities. Exceptional Children [serial online]. Fall2008 2008; 75(1):71-92. Available
from: Professional Development Collection, Ipswich, MA. Accessed October 8, 2013.
3. How have you changed as a person or how have your children help define who you are
Rationale/analysis: According to the textbook children would help define and shape a
mother role in society such as protector, physical support, emotional support and
financial provider. According to Brofenbrenner’s ecological system in this situation the
mother is the center of the family, she is the kinkeeper.
Reference: Craig, G. &Dunn, W. (2012) Understanding Human Development 3rd
Edition. New York: Pearson Books. 56-58
Reflection: Overall I thought our topic of childbirth was interesting and very real-word
experience that almost every female have to go through. I thoroughly enjoyed group work
because my teammates are all responsible and we all have the same common goal. Our
weakness is that due to the busy day to day school works between classes, one or two of
us can’t make it to the meeting. Despite our busy schedules we were able to meet up at
least five times to get our project done. Other than that we are a very solid group and we
all enjoyed working together. Our strength is that we all want to do well on this project so
all of us put our 100% into doing it. We get things done on times and always productive
during our group meetings. We helped each other out in our specific parts of the project,
and all of us are willing to listen to new ideas. This project taught me how to work in a
group, it make me realize my strength and weakness so in the future I can improve
Peer Evaluation:
Janet Daif: 5 points
Alison Kerling: 5 points
Self: 5 points
Bridget Meade: 5 points
Jessica Flores: 5 points
Sanje Harris-Richardson: 5 points